A big game hunter in India was walking back to the village when she rounded a corner and suddenly found herself staring directly into the eyes of a magnificent tiger. Fearing for her life she quickly raised her gun and fired, missing the big cat by inches. It sprang toward her. She ducked and felt the hairs on it’s belly graze the top of her head as it passed over her. The big cat landed 10 feet behind her and then turned and ran off into the woods beyond. Fortunately, they both would live unscathed to hunt another day.
The following morning the hunter decided she had better work on her shooting skills and set about testing her aim at a target on the outskirts of the town. As she prepared for her third shot she heard a rustling in the long grass to her right. Looking in that direction she saw the tiger from the previous day. He was practicing taking shorter leaps.
In many cases achieving better results is not about big changes you have to make, but rather mastering the short leaps that add up to continuous improvement.
Webinars are Everywhere
You have no doubt noticed how rapidly webinars are becoming a marketing vehicle of choice for companies large and small. Once reserved for special events or large corporate online training, the webinar has become the go to tool for online marketers hoping to engage and expand their audience. The good news is the technology is getting better and more accessible. The bad news is we are not just seeing more webinars, we are seeing many more atrocious webinars. Most often not because the technology crates challenges, but rather the presenter drops the ball. What can you do to avoid contributing to the carnage?
Take Short Leaps
=====
[1]
Ru2WBr after structural relaxation. Source: Alexandria, functional PBE.

Unit cell a=4.4450 b=4.4450 c=4.4450 alpha=60.00 beta=60.00 gamma=60.00
Sites, in units of the cell vectors:
Ru 0.0000 0.0000 0.0000
Ru 0.7500 0.7500 0.7500
Br 0.5000 0.5000 0.5000
W 0.2500 0.2500 0.2500

Properties
E_tot in eV/atom: -7.2832
Fermi-level density of states in states/eV per cell: 4.6
Space group: F-43m (216)


[2]
Fe2PRu after structural relaxation. Source: Alexandria, functional PBE.

Unit cell a=4.3281 b=4.3281 c=4.3281 alpha=130.27 beta=130.27 gamma=72.98
Site moments in Bohr magnetons follow the coordinates.
Sites, in units of the cell vectors:
Fe 0.0000 0.0000 0.0000  1.22
Fe 0.2500 0.7500 0.5000  -1.24
P 0.5000 0.5000 0.0000  0.01
Ru 0.7500 0.2500 0.5000  0.05

Properties
E_tot in eV/atom: -7.9377
Fermi-level density of states in states/eV per cell: 4.6
Space group: I-4m2 (119)


[3]
PmTl2Si after structural relaxation. Source: Alexandria, functional PBE.

Unit cell a=4.9878 b=4.4798 c=4.4798 alpha=90.00 beta=90.00 gamma=90.00
Sites, in units of the cell vectors:
Tl 0.0000 0.0000 0.5000
Tl 0.0000 0.5000 0.0000
Si 0.5000 0.5000 0.5000
Pm 0.5000 0.0000 0.0000

Properties
E_tot in eV/atom: -3.8969
Fermi-level density of states in states/eV per cell: 2.5
Space group: P4/mmm (123)


> What is the E_tot in the second record?

-7.9377 eV/atom


Repeat the second record exactly.
Fe2PRu after structural relaxation. Source: Alexandria, functional PBE.

Unit cell a=4.3281 b=4.3281 c=4.3281 alpha=130.27 beta=130.27 gamma=72.98
Site moments in Bohr magnetons follow the coordinates.
Sites, in units of the cell vectors:
Fe 0.0000 0.0000 0.0000  1.22
Fe 0.2500 0.7500 0.5000  -1.24
P 0.5000 0.5000 0.0000  0.01
Ru 0.7500 0.2500 0.5000  0.05

Properties
E_tot in eV/atom: -7.9377
Fermi-level density of states in states/eV per cell: 4.6
Space group: I-4m2 (119)

* * * * *

# 1
Ho3ZnAg2 | the Alexandria database | PBE | optimized geometry; VASP energy = -3.782 eV/atom; energy relative to the elements = -31.9 kJ per mole of atoms; space-group type = P-3m1, No. 164
1.0
5.097 0.000 0.000
-2.548 4.414 0.000
0.000 0.000 12.428
Ho Zn Ag
6 2 4
Direct
0.000 0.000 0.248 Ho
0.000 0.000 0.752 Ho
0.333 0.667 0.415 Ho
0.333 0.667 0.918 Ho
0.667 0.333 0.082 Ho
0.667 0.333 0.585 Ho
0.333 0.667 0.168 Zn
0.667 0.333 0.832 Zn
0.000 0.000 0.000 Ag
0.000 0.000 0.500 Ag
0.333 0.667 0.671 Ag
0.667 0.333 0.329 Ag



# 2
Ho2Zn5Ag | the Alexandria database | PBE | optimized geometry; VASP energy = -2.595 eV/atom; energy relative to the elements = -28.7 kJ per mole of atoms; space-group type = Cmcm, No. 63
1.0
2.131 -8.085 0.000
2.131 8.085 0.000
0.000 0.000 8.959
Ho Zn Ag
4 10 2
Direct
0.000 0.000 0.000 Ho
0.000 0.000 0.500 Ho
0.196 0.804 0.750 Ho
0.804 0.196 0.250 Ho
0.190 0.810 0.106 Zn
0.190 0.810 0.394 Zn
0.350 0.650 0.022 Zn
0.350 0.650 0.478 Zn
0.391 0.609 0.750 Zn
0.609 0.391 0.250 Zn
0.650 0.350 0.522 Zn
0.650 0.350 0.978 Zn
0.810 0.190 0.606 Zn
0.810 0.190 0.894 Zn
0.451 0.549 0.250 Ag
=====
In this series on delivering better webinars, we are going to focus on some of the short leaps you can take to ensure your webinars shine. We’ll roll these ideas out over a series of posts. Each post will be designed to deliver some quick and easy actions you can take make your webinar presentations stand out from the crowd.Future posts will look in more detail at technology considerations and how effectively plan a well crafted presentation. But for now, we’ll assume you’ve already taken the leap and pulled together the basics to start delivering webinars.
One challenge that too many presenters overlook is managing expectations. This is actually low hanging fruit on the path to better webinars. When your audience knows exactly what to expect and you deliver it, your webinar immediately moves into the top tier. Let’s look at two initial strategies.
Learning Objectives
Most webinars have a learning objective. The goal is to have the audience come out of the webinar with knowledge they didn’t have going in. Ideally that knowledge is also actionable, meaning they can do something constructive with it.
The first rule of good learning design is to have and share clear objectives. Be sure to do that with your webinar. In your promotions don’t just provide a list of topics. Instead, explain those topics in terms of outcomes. According to the respected learning objective design guru Robert Mager:
“An objective describes an intended result of instruction, rather than the process of instruction itself”
So tell your audience what they should expect to be able to do differently after your webinar. For example, if you were promoting a webinar about using Facebook for business, don’t just list that you will cover ‘Creating Fan Pages’. Instead say, “The webinar will provide you with a step by step process you can implement to build your first Facebook Fan Page in just 20 minutes”.
The Length of Your Webinar
This is one area that is very often abused by webinar creators. It’s a pretty safe bet that have you attended more than one webinar that ran well over the allotted time? In fact, it is so common that you probably favorably recall the few that ended when they said they would.
The causes of webinar overrun are:
- Attempting to cover too much content in too little time. A cardinal rule of online learning is to keep the list down to one, or at most a small handful of topics. Your audience will be better served when you cover a few points in detail with takeaways they can implement
- Poorly planned presentations – relying on bullet points to stimulate talking points so it is impossible to accurately predict how long each topic will take to deliver
- Failure to rehearse. If you have never delivered the presentation before you cannot know how long it really takes. The best presentations have almost always been rehearsed
- Failure to manage audience interaction. It is far too easy to get off track responding to questions in the chat window
The solutions are relatively simple:
- Keep your content short and sweet. Delivering actionable learning on just a few areas will be far more valuable than a hasty overview of everything related to your topic. Remember, one goal of the webinar is engaging the customer and building a relationship. When your webinars are transformational and you provide a reason for the customer to come back for more, you will build a stronger relationship based on trust and authority.
- Don’t wing your presentations until you have done them so many times you could give the webinar in your sleep. Write out everything you will cover. Your webinar script should completely fill in the gaps between the bullets that may be on your PowerPoint presentation.
- Rehearse your full presentation with a small pilot audience. Know how long takes to deliver. Gather feedback so you also know where the presentation lacks clarity and where it hits home runs with your audience. It’s hard to do great live presentations. That’s why most television shows, even the ‘live’ talk shows, have been pre-recorded since the technology to do so became available. Do yourself a favor and don’t require that you be the world’s best live performer. In fact, there is a lot to be said for developing pre-recorded webinars, but that is a topic for another day.
- Manage audience interaction in two ways. Build a time for it into the structure of the webinar. Communicate when and how you will respond to comments or questions. Then stick to the plan. The second way to manage audience response is to have an associate monitor and respond to comments. They can take care of the housekeeping tasks so you, and your audience, do not have to spend time on them. They can also efficiently relay questions to you when you reach that point in your webinar.
Lastly – don’t assume there is any reason why your webinar should be structured around a one hour timeslot. If you can address your topic in less time DO IT! You can stand out from the crowd and have a much more satisfied audience if you design your webinar to run for the minimum time required to cover the topic effectively. Then communicate that length to your audience and stick to it.
So there you have it. The first two of many strategies we will share to help you deliver best in the world webinars. We’ll be back in the days and weeks to come with more action oriented short leaps to better webinar presentations.